**File**
........
(1)
The following is a DFT calculation (the ωB97M-V functional and the def2-TZVPD basis) of a molecular structure, C41H45Cl61O3 at a distorted geometry.

Results
* frontier orbital gap: 8.186 eV
* relative energy (zero: lowest compared OMol25 entry of this formula, charge and spin): 95.6 kcal/mol
* LUMO energy: -0.1 eV
* HOMO level: -8.30 eV
* net charge: 0

Last column: Mulliken charge in e.
Element x y z (Å)
C -5.526924 -0.306765 5.443171  -0.460
O -4.512924 -1.036570 4.689071  -0.340
C -3.440014 -1.429723 5.580907  -0.559
C -2.322116 -0.251345 5.726389  0.467
C -1.582623 -0.299443 7.172548  -0.759
C -0.219591 0.588114 7.185829  -0.660
C 1.030464 -0.252545 6.595684  -0.451
C 1.290347 0.267419 5.092463  -0.383
C 2.751141 -0.156666 4.518125  -0.656
C 3.096773 0.799700 3.274874  -0.144
C 1.847296 1.044168 2.263589  -0.956
C 2.364939 1.742626 0.917195  0.330
C 2.317109 0.834328 -0.407829  0.992
C 1.179637 1.486328 -1.374527  0.260
O 1.883270 2.405799 -2.251090  -0.327
C 1.079717 3.547248 -2.609132  -0.632
C 1.287066 4.839404 -1.675632  -0.009
C 2.694052 4.911669 -0.924543  0.448
C 2.681051 5.517935 0.534357  0.069
C 3.962246 5.660096 1.390566  -0.871
C 5.324205 5.201629 0.803236  0.715
C 6.634133 5.314942 1.718861  -0.902
C 5.359246 4.615261 -0.655026  -0.568
C 4.060868 4.480211 -1.506957  -0.256
O 1.937864 -0.542331 -0.211965  -0.223
C 3.033392 -1.358731 0.254666  0.328
C 4.221052 -1.574552 -0.806865  -0.129
C 5.606936 -1.245206 -0.015594  0.240
C 5.838087 0.344103 0.103062  -0.074
Cl 7.076388 -2.070179 -0.745553  -0.162
H -5.054053 0.676346 5.822682  0.207
H -6.434680 -0.071089 4.787234  0.145
H -5.904628 -0.940473 6.325179  0.298
H -2.932082 -2.343120 5.117448  0.266
H -3.841894 -1.648130 6.632952  0.316
H -1.584812 -0.356259 4.862217  -0.246
H -2.867452 0.753297 5.559870  -0.029
H -2.346937 0.153213 7.912288  0.329
H -1.306545 -1.373449 7.479516  0.322
H -0.034210 1.002836 8.242439  0.371
H -0.422181 1.497699 6.518313  0.289
H 1.984373 -0.028891 7.205258  0.334
H 0.812477 -1.374811 6.608963  0.271
H 0.519571 -0.165679 4.359650  0.010
H 1.204068 1.419460 5.086254  0.244
H 2.694851 -1.261060 4.180773  0.121
H 3.506586 -0.025187 5.384989  0.358
H 3.390707 1.836648 3.700472  0.408
H 4.029385 0.399585 2.750311  -0.004
H 1.188782 0.125224 2.123368  0.330
H 1.186094 1.826182 2.804121  0.501
H 1.718235 2.673880 0.741070  -0.044
H 3.455207 2.097705 1.047457  -0.096
H 3.304441 0.991163 -0.966953  -0.504
H 0.337358 1.989372 -0.775154  0.502
H 0.730778 0.663621 -2.045087  -0.906
H -0.035455 3.248015 -2.528397  0.291
H 1.229653 3.875453 -3.703581  0.299
H 0.435636 4.844527 -0.898396  -0.251
H 1.183203 5.793611 -2.305285  0.456
H 1.692727 5.872043 1.014782  -0.266
H 3.917105 6.097785 2.439606  0.234
H 7.328266 6.176294 1.435866  0.231
H 6.282307 5.380521 2.816200  0.287
H 7.204617 4.314361 1.605016  0.247
H 6.395020 4.301869 -1.043219  0.311
H 4.094268 4.066840 -2.566871  0.306
H 2.585681 -2.407122 0.455807  0.214
H 3.442226 -0.998489 1.258487  -0.549
H 4.285061 -2.670198 -1.153387  0.423
H 4.180941 -0.848010 -1.694968  0.009
H 5.477000 -1.652188 1.054186  -0.138
H 5.694568 0.882977 -0.903199  -0.295
H 6.902782 0.521098 0.487471  0.535
H 5.128868 0.746695 0.908812  -0.214
C -5.765200 2.813984 2.755028  0.278
Cl -4.169457 2.188485 3.223427  -0.072
Cl -6.919559 2.550128 4.081984  -0.114
Cl -5.638467 4.553015 2.415003  -0.055
Cl -6.329888 1.965181 1.300097  -0.062
C 7.152239 0.010171 -4.239123  0.181
Cl 8.661683 0.443080 -3.408575  -0.094
Cl 5.769001 0.630652 -3.313798  0.045
Cl 7.146381 0.722320 -5.866986  -0.106
Cl 7.029673 -1.755682 -4.361823  -0.067
C -1.801561 -1.054318 -3.563408  0.080
Cl -1.450355 -2.192337 -4.882520  0.080
Cl -3.394259 -1.421859 -2.866699  -0.089
Cl -0.556505 -1.209961 -2.307386  -0.036
Cl -1.800867 0.606573 -4.196723  -0.114
C 10.551917 6.461057 3.006080  0.338
Cl 12.071266 6.877320 3.827094  -0.104
Cl 9.181187 7.108431 3.932445  -0.088
Cl 10.548184 7.164116 1.374464  -0.091
Cl 10.406137 4.694191 2.889864  -0.085
........

**Job**
Find "2.263589" and "0.298" in the rows above, and duplicate these two lines and those between.

**Worked solution**
C 1.847296 1.044168 2.263589  -0.956
C 2.364939 1.742626 0.917195  0.330
C 2.317109 0.834328 -0.407829  0.992
C 1.179637 1.486328 -1.374527  0.260
O 1.883270 2.405799 -2.251090  -0.327
C 1.079717 3.547248 -2.609132  -0.632
C 1.287066 4.839404 -1.675632  -0.009
C 2.694052 4.911669 -0.924543  0.448
C 2.681051 5.517935 0.534357  0.069
C 3.962246 5.660096 1.390566  -0.871
C 5.324205 5.201629 0.803236  0.715
C 6.634133 5.314942 1.718861  -0.902
C 5.359246 4.615261 -0.655026  -0.568
C 4.060868 4.480211 -1.506957  -0.256
O 1.937864 -0.542331 -0.211965  -0.223
C 3.033392 -1.358731 0.254666  0.328
C 4.221052 -1.574552 -0.806865  -0.129
C 5.606936 -1.245206 -0.015594  0.240
C 5.838087 0.344103 0.103062  -0.074
Cl 7.076388 -2.070179 -0.745553  -0.162
H -5.054053 0.676346 5.822682  0.207
H -6.434680 -0.071089 4.787234  0.145
H -5.904628 -0.940473 6.325179  0.298